A preference Judgement test

Mac OS Sierra 10.12.4
PsychoPy version 1.84.2
Standard Standalone.

~~~
Run a
Below is MoH4O5 after structural relaxation, with properties calculated at the GGA+U level.

abc: 6.173 4.248 7.853
angles: 90.00 100.65 90.00
Space group Pc (No. 7)
One atom of each set of equivalent atoms:
Mo: 0.000 0.086 0.000 (multiplicity 2)
H: 0.431 0.006 0.950 (multiplicity 2)
H: 0.438 0.436 0.609 (multiplicity 2)
H: 0.560 0.290 0.231 (multiplicity 2)
H: 0.631 0.229 0.828 (multiplicity 2)
O: 0.000 0.494 0.986 (multiplicity 2)
O: 0.302 0.015 0.511 (multiplicity 2)
O: 0.506 0.493 0.727 (multiplicity 2)
O: 0.685 0.039 0.907 (multiplicity 2)
O: 0.992 0.008 0.222 (multiplicity 2)

* V: 10.119 Å³ per atom


Run b
Below is MoH4O5 after structural relaxation, with properties calculated at the GGA+U level.

abc: 6.852 3.997 7.851
angles: 90.00 91.20 90.00
Space group Pc (No. 7)
One atom of each set of equivalent atoms:
Mo: 0.000 0.085 0.000 (multiplicity 2)
H: 0.337 0.105 0.153 (multiplicity 2)
H: 0.461 0.408 0.852 (multiplicity 2)
H: 0.591 0.434 0.211 (multiplicity 2)
H: 0.654 0.143 0.466 (multiplicity 2)
O: 0.006 0.012 0.778 (multiplicity 2)
O: 0.277 0.034 0.044 (multiplicity 2)
O: 0.510 0.379 0.308 (multiplicity 2)
O: 0.724 0.022 0.039 (multiplicity 2)
O: 0.992 0.476 0.520 (multiplicity 2)

* V: 10.748 Å³ per atom


Most stable: run b (next structure +7 meV per atom)


Run a
Below is Li3Fe5OF11 after structural relaxation, with properties calculated at the GGA+U level.

abc: 5.256 5.688 9.291
angles: 72.71 89.10 63.16
Space group P1 (No. 1)
One atom of each set of equivalent atoms:
Li: 0.000 0.000 0.000 (multiplicity 1)
Li: 0.221 0.263 0.728 (multiplicity 1)
Li: 0.745 0.736 0.238 (multiplicity 1)
Fe: 0.065 0.200 0.348 (multiplicity 1)
Fe: 0.304 0.471 0.089 (multiplicity 1)
Fe: 0.535 0.464 0.499 (multiplicity 1)
Fe: 0.564 0.739 0.852 (multiplicity 1)
Fe: 0.837 0.975 0.595 (multiplicity 1)
O: 0.951 0.223 0.539 (multiplicity 1)
F: 0.002 0.554 0.889 (multiplicity 1)
F: 0.003 0.860 0.191 (multiplicity 1)
F: 0.075 0.305 0.147 (multiplicity 1)
F: 0.097 0.610 0.450 (multiplicity 1)
F: 0.126 0.965 0.804 (multiplicity 1)
F: 0.469 0.716 0.049 (multiplicity 1)
F: 0.499 0.388 0.708 (multiplicity 1)
F: 0.517 0.046 0.384 (multiplicity 1)
F: 0.581 0.122 0.956 (multiplicity 1)
F: 0.584 0.827 0.643 (multiplicity 1)
F: 0.604 0.478 0.287 (multiplicity 1)

* V: 11.717 Å³ per atom


Run b
Below is Li3Fe5OF11 after structural relaxation, with properties calculated at the GGA+U level.

abc: 5.304 5.676 9.225
angles: 74.33 89.82 62.81
Space group P1 (No. 1)
One atom of each set of equivalent atoms:
Li: 0.000 0.000 0.000 (multiplicity 1)
Li: 0.046 0.877 0.348 (multiplicity 1)
Li: 0.479 0.019 0.479 (multiplicity 1)
Fe: 0.255 0.516 0.752 (multiplicity 1)
Fe: 0.304 0.419 0.090 (multiplicity 1)
Fe: 0.529 0.884 0.850 (multiplicity 1)
Fe: 0.750 0.488 0.251 (multiplicity 1)
Fe: 0.792 0.406 0.592 (multiplicity 1)
O: 0.296 0.695 0.900 (multiplicity 1)
F: 0.197 0.229 0.289 (multiplicity 1)
F: 0.240 0.198 0.951 (multiplicity 1)
F: 0.249 0.214 0.639 (multiplicity 1)
~~~

Hello everyone!

I’m trying to build a test for Preference Judgement.

**Misplaced calculated crystals**
A relaxed structure of Ac3Yb. Source: Materials Project, functional meta-GGA r2SCAN.

The uncorrected energy is -60.558 eV/atom. The calculation puts the volume at 41.3 Å³ per atom.

The space group is Pm-3m (No. 221) and the conventional cell measures 5.486, 5.486 and 5.486 Å, with angles of 90.00, 90.00 and 90.00 degrees. Symmetry generates all atoms from Ac at (0.000, 0.000, 0.500) and Yb at (0.500, 0.500, 0.500).

~~~~~

No. 1
Material: Na3Li3V2F12
Method: DFT, GGA+U
State: optimized geometry

Summary:
Its total DFT energy (no corrections) is -5.28 eV per atom.

Cell: 10.934 10.934 10.934 Å, 109.47 109.47 109.47°
Sites, in units of the cell vectors:
Na: 0.375 0.125 0.250
Na: 0.750 0.125 0.375
Na: 0.250 0.375 0.125
Na: 0.125 0.250 0.375
Na: 0.375 0.750 0.125
Na: 0.125 0.375 0.750
Na: 0.625 0.875 0.750
Na: 0.250 0.875 0.625
Na: 0.875 0.625 0.250
Na: 0.625 0.250 0.875
Na: 0.750 0.625 0.875
Na: 0.875 0.750 0.625
Li: 0.625 0.375 0.250
Li: 0.125 0.875 0.250
Li: 0.875 0.125 0.750
Li: 0.250 0.625 0.375
Li: 0.375 0.250 0.625
Li: 0.750 0.875 0.125
Li: 0.125 0.750 0.875
Li: 0.375 0.625 0.750
Li: 0.625 0.750 0.375
Li: 0.875 0.250 0.125
Li: 0.250 0.125 0.875
Li: 0.750 0.375 0.625
V: 0.000 0.000 0.000
V: 0.500 0.000 0.000
V: 0.000 0.500 0.000
V: 0.000 0.000 0.500
V: 0.500 0.500 0.000
V: 0.000 0.500 0.500
V: 0.500 0.000 0.500
V: 0.500 0.500 0.500
F: 0.078 0.883 0.402
F: 0.695 0.675 0.078
F: 0.805 0.883 0.981
F: 0.981 0.805 0.883
F: 0.825 0.519 0.402
F: 0.695 0.519 0.617
F: 0.617 0.422 0.098
F: 0.617 0.695 0.519
F: 0.675 0.078 0.695
F: 0.519 0.617 0.695
F: 0.098 0.981 0.675
F: 0.883 0.402 0.078
F: 0.422 0.098 0.617
F: 0.402 0.825 0.519
F: 0.078 0.695 0.675
F: 0.098 0.617 0.422
F: 0.519 0.402 0.825
F: 0.422 0.825 0.805
F: 0.981 0.675 0.098
F: 0.825 0.805 0.422
F: 0.117 0.019 0.195
F: 0.598 0.922 0.117
F: 0.195 0.578 0.175
F: 0.175 0.195 0.578
F: 0.325 0.902 0.019
F: 0.019 0.325 0.902
F: 0.922 0.117 0.598
F: 0.481 0.598 0.175
F: 0.902 0.383 0.578
F: 0.922 0.305 0.325
F: 0.598 0.175 0.481
F: 0.578 0.902 0.383
F: 0.305 0.325 0.922
F: 0.195 0.117 0.019
F: 0.019 0.195 0.117
F: 0.175 0.481 0.598
F: 0.305 0.481 0.383
F: 0.383 0.578 0.902
F: 0.383 0.305 0.481
F: 0.325 0.922 0.305
F: 0.481 0.383 0.305
F: 0.902 0.019 0.325
F: 0.117 0.598 0.922
F: 0.578 0.175 0.195
F: 0.883 0.981 0.805
F: 0.402 0.078 0.883
F: 0.805 0.422 0.825
F: 0.675 0.098 0.981

=====

No. 2
Material: Li5VCr3O8
Method: DFT, GGA+U
State: optimized geometry

Summary:
For the relative energy among the computed polymorphs, the calculation gives 0.0000 eV per atom. The value obtained for the piezoelectric modulus e_max is 0.8 C/m2.

Cell: 5.999 5.999 9.929 Å, 90.00 90.00 120.00°
Sites, in units of the cell vectors:
Li: 0.195 0.805 0.047
Li: 0.609 0.805 0.047
Li: 0.333 0.667 0.261
Li: 0.195 0.391 0.047
Li: 0.805 0.609 0.547
Li: 0.000 0.000 0.471
Li: 0.667 0.333 0.761
Li: 0.391 0.195 0.547
Li: 0.000 0.000 0.971
Li: 0.805 0.195 0.547
V: 0.333 0.667 0.511
V: 0.667 0.333 0.011
Cr: 0.168 0.832 0.773

It consists two parts:
In the first part, the participant rates different items between 0-1 (I used the visual analog scale, and a picture to represent the item).
On the second part the participant is making choices between two pictures - one of a highly rated item (0.7 and up) and one of a poorly rated item (0.3 and below), using the left and right arrows. I also inserted a “correct answer”, which supposed to be the highly rated item.
The items are divided into different categories, and the choice has to be made between items on the same category (for an example - fruits, cellphones, car brands, etc.)

I built the first part, and it generates a data file that consists the different items and their picture name, their category and the rating that they got.
I also built a draft of the second part, but I don’t know how to “connect" the two parts - Ideally, the program will choose automatically highly rated and poorly rated items from the same category and compare them on the second part. Right now I have no idea how to do that on the builder, and I don’t know how to code, so I’m doing it manually…

I would very much appreciate the forum help with the “connecting” issue.

Someone pasted crystal structures at this point:
=====
A plane-wave DFT calculation with PBE-GGA was carried out for a relaxed YAlNi crystal.

Geometry as CIF:
```
data_YAlNi
_chemical_formula_sum 'Y8 Al8 Ni8'
_cell_length_a 8.6158
_cell_length_b 5.3905
_cell_length_c 9.0799
_cell_angle_alpha 90.00
_cell_angle_beta 90.00
_cell_angle_gamma 90.00
_symmetry_space_group_name_H-M 'A m m 2'
_symmetry_Int_Tables_number 38
loop_
_symmetry_equiv_pos_as_xyz
'x,y,z'
'-x,-y,z'
'-x,y,z'
'x,-y,z'
'x,y+1/2,z+1/2'
'-x,-y+1/2,z+1/2'
'-x,y+1/2,z+1/2'
'x,-y+1/2,z+1/2'
loop_
_atom_site_label
_atom_site_type_symbol
_atom_site_fract_x
_atom_site_fract_y
_atom_site_fract_z
Y1 Y 0.1820 0.0000 0.0000
Y2 Y 0.2932 0.0000 0.6694
Al1 Al 0.0000 0.0000 0.4782
Al2 Al 0.5000 0.0000 0.1660
Al3 Al 0.5000 0.2472 0.4154
Ni1 Ni 0.0000 0.2433 0.2418
Ni2 Ni 0.2598 0.0000 0.3363
```

Summary:
Electronic total energy   -5.834 eV per atom

=====

1.
The following is a DFT calculation (PBE with a Hubbard U) of an optimized crystal structure of Ba2DyMoO6.

Calculated values
Mass density = 6.791 g/cm³
Volume = 15.4 Å³ per atom
ΔE_f = -3.0377 eV per atom
E = -7.20 eV per atom
Crystal system = cubic

Lattice parameters (Å, degrees): 8.5052 8.5052 8.5052 90.00 90.00 90.00
Space group Fm-3m (No. 225)
One atom of each set of equivalent atoms:
Ba1 0.2500 0.2500 0.2500 (multiplicity 8)
Dy1 0.0000 0.0000 0.0000 (multiplicity 4)
Mo1 0.0000 0.0000 0.5000 (multiplicity 4)
O1 0.0000 0.0000 0.2641 (multiplicity 24)

=====

2.
The following is a DFT calculation (PBE with a Hubbard U) of an optimized crystal structure of Li5Co5Ni2O12.

Calculated values
Mass density = 5.116 g/cm³
Volume = 8.6 Å³ per atom
ΔE_f = -1.5560 eV per atom
Distance to the lowest polymorph of the same formula = 0.0 meV/atom
E = -5.49 eV per atom
Crystal system = monoclinic

Lattice parameters (Å, degrees): 5.0484 8.7013 9.5689 90.00 99.40 90.00
Space group C2 (No. 5)
One atom of each set of equivalent atoms:
Li1 0.0000 0.0000 0.0000 (multiplicity 2)
Li2 0.2391 0.1700 0.2477 (multiplicity 4)
Li3 0.2473 0.5062 0.2491 (multiplicity 4)
Co1 0.0000 0.1740 0.5000 (multiplicity 2)
Co2 0.0000 0.5082 0.5000 (multiplicity 2)
Co3 0.0000 0.6620 0.0000 (multiplicity 2)
Co4 0.2346 0.8442 0.2427 (multiplicity 4)
Ni1 0.0000 0.3301 0.0000 (multiplicity 2)
Ni2 0.0000 0.8396 0.5000 (multiplicity 2)
O1 0.1045 0.3412 0.3859 (multiplicity 4)
O2 0.1078 0.8174 0.8763 (multiplicity 4)
O3 0.1125 0.4898 0.8842 (multiplicity 4)
O4 0.1425 0.0125 0.3874 (multiplicity 4)
O5 0.1441 0.6694 0.3873 (multiplicity 4)
O6 0.1448 0.1765 0.8893 (multiplicity 4)

=====

3.
The following is a DFT calculation (PBE with a Hubbard U) of an optimized crystal structure of LiCo6O2F10.

Calculated values
Mass density = 4.270 g/cm³
Volume = 11.9 Å³ per atom
ΔE_f = -1.9298 eV per atom
Distance to the lowest polymorph of the same formula = 151.3 meV/atom
E = -4.97 eV per atom
Crystal system = triclinic

Lattice parameters (Å, degrees): 4.7624 4.8049 9.9213 87.26 87.50 89.40
Space group P1 (No. 1)
One atom of each set of equivalent atoms:
=====

Thank you very much!!


Hi Tiran,

This sounds like an interesting experimental design. The good news is that you have implemented the first part in Builder and got it working. Other good news is that doing the second part will be very similar. The bad news is, as you suspect, that joining the two stages is going to be tricky.

This will inevitably require some Python coding to do what you want. It could just be a matter of going through the data from part 1, and constructing a new conditions file that could be used for part 2 for each subject, so that the second part would still use a standard Builder approach. This linking code won’t be straightforward, particularly because your data is based on subject responses. e.g. you can’t guarantee in advance that there will be the same number of items rated above 0.7 as there are above 0.3, and you might even need to cater for cases where there are no judgments in one (or both) of those categories, or in the different picture types. i.e. this code will need to be very flexible and fault-tolerant, unlike a lot of the relatively mechanical code we can write when we know that all of the experimental conditions are nicely balanced.

So to implement this will either require you learning how to program in Python, making friends with someone who can, or looking to see what technical support you can access (e.g. does your department have any programming technical support available)? Unlike a lot of the problems that get solved on this forum (with relatively simple solutions), I suspect that this code would need a continuous cycle of writing and then testing to make sure it does what is needed, and that is hard to do remotely.

Whichever way you go, the process will require a very careful description of the problem and what needs to be achieved. You could try doing that here and see if anyone can at least help you along the way. There might even be a PhD student here who is desperately avoiding their own thesis work and might be prepared to do some remote support :wink:

I’ll try to find someone who know how to code!.. Maybe I’ll gain a new abillity on the way haha

Thank you for your answer :slight_smile: